Assalamualaikum,After this will be lots..lots..lots...i mean lotssss of wedding day preparation (WDP) entry.Only 58 days left from this date...i'm totally crampppp to think all of thingss..uurrghhh! Like i said, it takes 6 months to prepare for 3 days event.Ok,..for the theme color at 1st i wana use Green + White/Cream colour. It's a lime green more to olive green but must be satin...
Assalamualaikum,..hhuurrmmm,..kali ni sesi luahan hati dan prasaan aku yg prasan.What ever la kan..Aku xtau nape,.. aku memang pissed off ckit (bleh jd byk kalo x kene gaya) la ngan org suke cakap "UP TO YOU" nih & "SUKE HATI YOU LA!". Bagi aku memang dah jadi satu kepantangan..Pedih telinga n hati aku kalo aku dengar ayat cam gini.But geng, please bare in ur...
<<<
C47H53GeNO4PPdTe2 | the ωB97M-V functional and the def2-TZVPD basis

Summary:
Largest force on an atom = 0.011 Eh/bohr
Frontier orbital gap (spin up / spin down) = 5.67 / 5.96 eV
Energy above the lowest of the compared OMol25 structures with the same formula, charge and spin = 0.7580 eV
E_LUMO (spin up / spin down) = 2.207 / 1.823 eV
Total charge = -1
2S+1 = 3
HOMO level (spin up / spin down) = -0.1273 / -0.1522 hartree

```
110
Properties=species:S:1:pos:R:3:forces:R:3:lowdin_spin:R:1
Pd -0.6183 0.1525 0.4968 0.3 -0.3 0.2 0.578
C -0.4489 -7.6441 6.3646 0.0 0.0 0.0 0.000
C -0.4877 -6.4203 5.4902 0.0 0.0 0.0 0.000
C 0.1778 -6.3841 4.2726 0.0 0.0 0.0 0.005
C 0.1568 -5.2549 3.4578 0.0 -0.1 0.0 0.017
C 0.9208 -5.2987 2.1606 0.0 0.0 0.0 0.011
C -0.5471 -4.1165 3.8732 0.0 0.0 -0.1 0.082
Te -0.6147 -2.3279 2.5975 -0.2 0.0 0.3 0.306
N -0.8946 -0.0281 2.6776 0.2 0.0 -0.3 0.373
C 0.2104 0.5948 3.1222 0.0 0.0 0.1 0.056
O 1.1632 0.9276 2.3860 -0.1 0.1 0.0 0.152
C 0.2908 0.9567 4.5861 0.1 0.0 -0.1 -0.001
C -0.7929 0.7677 5.4341 0.0 0.0 0.0 0.000
C -0.6977 1.0968 6.7781 0.0 0.0 0.0 0.000
C 0.4859 1.6195 7.2825 0.0 0.0 0.0 0.002
C 1.5726 1.8145 6.4381 0.0 0.0 0.0 0.000
C 1.4737 1.4855 5.0943 0.0 0.0 0.0 0.003
C 1.4860 -2.1114 2.6493 0.0 0.1 -0.1 0.009
C 2.0970 -1.9246 1.4145 0.0 0.0 0.0 0.013
C 3.4541 -1.6591 1.3253 0.0 0.0 0.0 0.000
C 4.2074 -1.5893 2.4840 0.0 0.0 0.1 0.003
C 3.5967 -1.7733 3.7159 0.0 0.0 0.0 0.000
C 2.2313 -2.0276 3.8301 0.0 0.0 0.0 0.006
C 1.6391 -2.1854 5.2033 -0.1 0.0 0.0 0.004
C -1.2332 -4.1411 5.0921 0.0 0.0 0.0 0.004
C -2.0161 -2.9718 5.6382 0.0 0.0 0.0 0.016
C -1.1907 -5.2904 5.8787 0.0 0.0 0.0 0.000
H 0.0803 -8.4611 5.8742 0.0 0.0 0.0 0.000
H -1.4562 -7.9903 6.6045 0.0 0.0 0.0 0.000
H 0.0578 -7.4365 7.3095 0.0 0.0 0.0 0.000
H 0.7277 -7.2602 3.9419 0.0 0.0 0.0 0.001
H 1.1559 -6.3290 1.8911 0.0 0.0 0.0 0.001
H 1.8579 -4.7426 2.2369 0.0 0.0 0.0 0.000
H 0.3561 -4.8488 1.3421 0.0 0.0 0.0 0.008
H -1.7062 0.3713 5.0088 0.0 0.0 0.0 -0.001
H -1.5480 0.9509 7.4340 0.0 0.0 0.0 0.000
H 0.5612 1.8786 8.3322 0.0 0.0 0.0 0.000
H 2.4964 2.2248 6.8284 0.0 0.0 0.0 0.000
H 2.3020 1.6300 4.4122 0.0 0.0 0.0 0.001
H 1.4990 -1.9379 0.5110 0.0 0.0 0.0 0.004
H 3.9047 -1.4782 0.3579 0.0 0.0 0.0 0.000
H 5.2678 -1.3731 2.4343 0.0 0.0 0.0 0.000
H 4.1858 -1.6957 4.6232 0.0 0.0 0.0 0.000
H 2.2904 -1.7286 5.9487 0.0 0.0 0.0 0.000
H 1.5053 -3.2395 5.4580 0.0 0.0 0.0 0.000
H 0.6631 -1.7007 5.2757 0.0 0.0 0.0 0.002
H -2.0322 -2.1157 4.9668 0.0 0.0 0.0 0.012
H -1.5853 -2.6361 6.5848 0.0 0.0 0.0 0.000
H -3.0497 -3.2662 5.8344 0.0 0.0 0.0 0.000
H -1.7237 -5.2957 6.8259 0.0 0.0 0.0 0.000
C 4.8767 4.6931 -0.0587 0.0 0.0 0.0 0.000
C 4.5223 3.5463 0.6440 0.0 0.0 0.0 0.000
C 3.2403 3.0303 0.5346 0.0 0.0 0.0 0.002
C 2.2858 3.6563 -0.2707 -0.1 0.0 0.0 0.002
C 2.6509 4.8041 -0.9647 0.0 0.0 0.0 0.000
C 3.9394 5.3198 -0.8645 0.0 0.0 0.0 0.000
Ge 0.4904 2.8504 -0.4067 0.2 0.3 -0.1 0.014
C -0.6116 3.9820 -1.5987 0.0 0.0 0.0 0.000
C -1.1275 5.1885 -1.1235 0.0 0.0 0.0 0.000
>>>
• Back to the text:
Assalamualaikum,Ade sape2 penah tgk muvi ni tak?...It was released this year.BRIDE WARS 2009Synopsis:In Manhattan, the lawyer Liv and the school teacher Emma have been best friends since their childhood. They both are proposed to by their boyfriends on the same day and they plan their wedding parties in Plaza Hotel, using the services of the famous Marion St. Claire. However, due to Marion's...
Assalamualaikum,These is something that i would like to share with bride/groom to be...Hukum Lelaki Memakai Emas Putih dan Platinum.Adakah dibenarkan seseorang lelaki memakai emas putih seperti yang terdapat di pasaran sekarang? Seseorang telah memberitahu saya bahawa emas putih tidak dikenakan zakat, jadi ianya dibenarkan bagi seseorang lelaki memakainya. Adakah ianya benar? Sekian Terima Kasih. Jawapan.Hukum lelaki memakai emas amat jelas hukumnya, iaitu haram...
_Attached: data records_
~~~
# 1
{"formula": "C2H5ClNO3P", "method": "ωB97M-V/def2-TZVPD", "homo_ev": -2.01, "multiplicity": 1, "de_lowest_kj_mol": 128.9, "max_force_ev_per_a": 3.00, "mol_weight_g_mol": 157.5, "charge": -2, "species": ["C", "C", "N", "O", "O", "O", "P", "Cl", "H", "H", "H", "H", "H"], "xyz": [[2.38340, 0.90261, -0.59207], [-1.25087, -0.99870, -0.38560], [-1.96799, -1.68337, -1.14436], [-0.24433, -0.21042, -0.79967], [1.03681, -0.52184, 1.48950], [0.07221, 1.75390, 0.84556], [0.92687, 0.39633, 0.30992], [-1.03269, -11.89033, -1.16689], [2.98170, 0.08493, -0.38206], [2.34631, 1.08388, -1.68907], [-1.52921, -1.19760, 0.71443], [0.05129, 1.40353, 1.75627], [-1.87859, -1.69243, -2.16638]], "atomic_forces_ev_per_a": [[-2.9018, 0.6386, 0.4057], [-0.0593, -0.4835, 1.0456], [-1.6490, -1.1044, -0.8886], [0.1610, 0.1497, 1.0617], [-0.1034, 0.5279, -0.5457], [0.6112, -1.7265, 0.1604], [1.2163, 1.3744, -1.7447], [-0.0101, -0.0939, -0.0108], [1.7416, -1.6762, 0.3275], [-0.4736, -0.0308, 0.8497], [1.2110, 1.0775, -1.3718], [-0.4524, 0.7522, 0.1042], [0.7086, 0.5950, 0.6067]]}



# 2
{"formula": "C2H5ClNOP", "method": "ωB97M-V/def2-TZVPD", "homo_ev": [-9.17, -8.81], "multiplicity": 1, "de_lowest_kj_mol": 538.9, "max_force_ev_per_a": 0.86, "mol_weight_g_mol": 125.5, "charge": 0, "species": ["C", "C", "N", "O", "P", "Cl", "H", "H", "H", "H", "H"], "xyz": [[-0.14585, 0.09806, 0.17717], [1.36237, -0.01669, 0.36375], [-1.67404, 0.37219, -1.62577], [-0.48716, -0.05375, -1.18356], [2.20670, -1.46271, -0.46054], [2.16927, 1.46416, -0.28651], [-0.62717, -0.69535, 0.77122], [-0.49600, 1.07330, 0.54834], [1.57333, -0.02999, 1.43539], [-2.22584, 0.78405, -0.86579], [1.69126, -1.15627, -1.71987]], "atomic_forces_ev_per_a": [[-0.1344, 0.0528, 0.8482], [-0.1001, 0.0470, -0.2741], [-0.2163, -0.1093, -0.5718], [0.1452, 0.0053, -0.3189], [-0.0006, -0.0538, 0.5277], [-0.0258, 0.0408, 0.0700], [0.0449, 0.1069, -0.1594], [0.0808, -0.1552, -0.1238], [-0.0266, -0.0156, -0.1474], [0.3489, 0.0003, 0.5230], [-0.1159, 0.0807, -0.3735]]}



# 3
{"formula": "C2H5ClNOP", "method": "ωB97M-V/def2-TZVPD", "homo_ev": -9.57, "multiplicity": 1, "de_lowest_kj_mol": 215.6, "max_force_ev_per_a": 4.46, "mol_weight_g_mol": 125.5, "smiles": "N/P=C/C=O.Cl", "charge": 0, "species": ["N", "P", "C", "C", "O", "H", "H", "H", "H", "Cl", "H"], "xyz": [[-2.09487, -1.64270, 0.04930], [-0.70501, -0.92472, -0.55597], [-0.56530, 0.52911, 0.33557], [0.63325, 1.22501, 0.06285], [1.49181, 0.91465, -0.76274], [-2.88077, -1.03016, 0.30207], [-2.39798, -2.56712, -0.04323], [-1.43078, 0.83001, 1.08742], [0.91941, 2.28480, 0.62667], [4.04464, -0.18756, -0.37129], [2.98561, 0.56868, -0.73065]], "atomic_forces_ev_per_a": [[-0.4097, 2.8251, 0.2204], [0.1010, -0.2118, 0.9798], [-2.9254, -1.1958, 0.6579], [2.0605, 3.8720, 0.7875], [-1.2613, -0.3361, -0.1684], [0.6322, -0.4444, 0.2434], [0.0246, -1.4610, -0.6635], [2.3522, -0.2996, -1.5446], [-1.2028, -2.4798, -0.7069], [-0.1115, 0.3263, -0.2133], [0.7403, -0.5949, 0.4078]]}



# 4
~~~
Assalamualaikum,Last weekend on Sunday, after my kasen wedding i went to IPOH fetch my rasaksa. I punye speed x hengat dalam 140KM/H je. hohoho (sampai saman harus la di beri pd rasaksa)Dah lame x masuk pekan IPOH. Rasa sedikit kepelikan. Selalu masuk singgah JJ Ipoh je but this time merayap sampai Ipoh Parade. Waaaahhh nuthing's there. huhuBefore amik rasaksa, aku sempat merayap kat...
Assalamualaikum,On 19th December 2009, berlangsungnya majlis perkahwinan sepupu ku Aza (Shida) & Aziz bertempat di kediaman beliau Shah Alam.Majlis yang agak simple. Nice theme colour. Sangat lembut.Here is some pikcess..Selamat next!! =Samik berkat katel pengantin..=)Hantaran pihak perempuan & lelakiBekas Cincin Lelaki...I touch up,..cantek x?. ...
Assalamualaikum,Last friday me & my cousin Aina went out to celebrate our Beday.She was born on 15th December and me on 17th December. And on 17th December is where Aina's mother (achik & ayahchik) getting we also celebrate Aina's parents Anniversary.Well there's a story on that date....never mind! Some other time.These is what we did to celebrate our 25th & 26th Beday,..|...
Assalamualaikum,Semalam dh penat sangat nak wat entry, kite cont ari ni k.YES! Yesterday was my beday. I'm becuming 26th...What an age! Tp perangai still kanak-kanak ribena.Aku amik EL semalam, sbb nk kene g klinik untuk blood test. Ingat nak pegi pagi, skali sume klinik wat tghari. Kalo tau baik masuk opis dulu awal2 pg tu.After call a few clinic, we decided to do...
Assalamualaikum,Huuuu~ penat nih!!. Kuar dr tgh-hari sampai tgh-malam.Nak cover baaaaaaannnyyyaaakkkkkk story. Tp....Kite dah penat laa...kite mengantuk sangat...Kite heppy ari ni.Thanx to Mr. Rasaksa for treating me nice today.I do made a wish...a kind of prayer. For a sinful girl like me, i dunno if my prayer will be answered. But i believed in HIM.Cont esok k....night! ZZZZzzzzzz. ...
Assalamualaikum,Ok,..let me cont our 2nd day at A'Famosa, Melaka.Wake up early as we need to check out the bungalow at 9am. Errrghhhh sgt x best bgun awal2 pg di tempat best! Dh la mlm tu x bape nk boleh lelap....lg laa aarrghhhhh!Before kuar from the bungalow compound sempat candid2 dulu depan umah tu, tepi pool.Then we heading to the club house for breakfast....
Assalamualaikum,Penat ari ni masuk ofis. Mata siap bengkak lagi. Ini mungkin kesan ubt migraine aku amik semalam. Terasa mcm mata ini ditumbuk..adieh!Walau pun aku xde la seactive kawan2 ofis mate yg len. Tp letih aku xleh imagine budak2 ofis yg men air ari tu..sure sengal2 badan giler punye. Sedangkan aku yg sunbath bawah pokok kelapa je pun bleh lenguh,.ini kan pulak budak2...
Assalamualaikum,Now kiteorg tgh hunting baju pengantin.Semalam pun dah pegi kedai ni, kat Bandar Tasik Selatan.Baju sume cantek. Tp x melekat di mata,..cume Silver/Grey and Creme/Off White menawan di hati.Malam ini,...JENG,,,..JENG,,,...Visit butik yg kiteorg dh pegi sebelum ni,..smpai tersesat-sesat.This promo is only opened for 20 customers only..And Alhamdulillah i'm one of it.Rumah KebayaAfter ofis hour, gona make a move to this place...What's the outcome??!!...
Assalamualaikum,Hari ni, hari x brape ade mood nak wat keje. Eventho keje bersepah2, and due date nye adelah nextweek tp masih curik2 masa untuk berpoya2. Ini kak sara punye penyakit, dah berjangkit kat aku...(salahkan org plak!! =p)Orait, sambil2 tu come..let me share some story-mory about my wedding preparation.Wedding Day Preparation (WDP): Part I It should started with a place right??...Venue for my solemization...
Assalamualaikum,Now dah bulan Disember kengkawan..Ape yg spesel di bulan Disember ini?? Haaa mengikut perkiraan, tinggal lg 78 days till our WD.Banyak sangat mende yang nak di buat kan. Everything in the list, just a matter of time to buy the stuff. Luckily dah wat survey awal2, so xde la macam kelam kabut yang teramat sangat. ffeeeuhh!Cume 1 je,..mende yang paling penting me and...
Assalamualaikum,Who said wish didnt come true??!!My wish have been granted yesterday...Thanx Mr Baby. Muaahhhss!! Lap ya!! hehehe ^_^!If you all read previous entry I Wish... there is a few things that i've listed as my wish. And Allah telah murahkan rezeki dgn memberi salah satu dari item tersebut. Nak tau ape die??....Jeng Jeng Jeng!Why dont u pepel guess...And the price is RM10!! Siyes...
Assalamualaikum,How i wish i can have this item below,..all in once! Tamakkkknnyyeee doter Incik Zamberi nih!! (Ko ingt bapak ko milenair?? =p)Kepada sesape yg sudi nak sedekah brand new item seperti di bawah ini amat lah dialu-alukan..^_^!1. Sony Slim CyberShot (for my blogging) 2. Handphone - LG/Samsung/Nokia/HTC(HP lame dh crash, harus la cari HP baru)3. Ladies Golf Set (future nak kene men,..layan rasaksa...
Assalamualaikum,Kinda boring tonight. Raksasa got to work til 10pm. Nothing much i can do except thinking of him...Miss him!I don't want somebody,Who's loving everybody,I need a shy guy,He's the kinda guy who'll only be mine..Heard this song in the afternoon...remind me of him!From: Shania Twain - You're Still The One.(When I first saw you, I saw loveAnd the first time you touched me,...
Assalamualaikum,..Semalam masa tgh duk cari souvenir utk Dato' 3A men golf, aku ternampak satu mende yg aku cari2 sebelum nih...Kalo tgk kat stadium cam mahal. Tp kat sini murah je..RM 19.90...dan-dan aku rembat! Murahh doo..So after this start balik routine Nemo bersama raksasa,...ari tu raksasa ade tanye xnak g Nemo ke...of course la nak! Tp masa tu getah goggle putus...lame giler aku gune...
Assalamualaikum,Bersiaran dari StarHut Cafe, Nilai..At this moment tgh tunggu boss men golf ngan client. I bet x lame lagi pun i kene start men gak..But my target is next year. Yep, after married!Now xleh la nak start,..xde budget! And seru tu x sampai lagi. Event raksasa pun dah ajak g driving range bljr swing dulu...Well, kalo i ni nk men,..dh lame i men....